(Listing)
DFT (PBE) results for crystalline Tb2PmYEr6 at its relaxed geometry.

Calculated values
Size of the total moment (μB/f.u.): 0.001
Energy of formation (meV per atom): 118.3

Cell and atoms, written as POSCAR:
```
Tb2PmYEr6
1.0
-8.679 -0.952 3.837
1.794 -8.548 0.434
2.936 5.162 6.419
Tb Pm Y Er
4 2 2 12
Cartesian
-0.463 -3.700 6.577
0.732 -1.610 1.562
-3.487 -0.637 4.113
-4.681 -2.727 9.128
-0.349 -8.466 1.533
-3.600 4.128 9.157
0.300 -0.675 4.934
-4.249 -3.663 5.756
1.921 2.743 5.071
-0.819 1.941 7.431
-5.870 -7.081 5.619
-3.131 -6.279 3.259
0.266 -6.442 4.404
-0.502 -4.930 1.088
-4.215 2.104 6.285
-3.448 0.592 9.601
1.683 -3.625 3.933
-1.539 -3.189 3.549
-5.632 -0.713 6.756
-2.410 -1.149 7.141
```

---

DFT (PBE) results for crystalline Cs6Hg3Pt at its relaxed geometry.

Calculated values
Size of the total moment (μB/f.u.): 0.000
Energy of formation (meV per atom): -122.6

Cell and atoms, written as POSCAR:
```
Cs6Hg3Pt
1.0
8.198 0.000 0.000
0.000 10.260 -0.986
0.000 -1.136 13.290
Cs Hg Pt
12 6 2
Cartesian
7.712 3.384 1.016
7.253 2.789 5.365
6.992 0.838 10.369
1.206 8.286 1.935
0.945 6.336 6.938
0.486 5.740 11.287
4.585 7.946 7.168
5.044 7.351 11.517
5.305 6.536 3.231
2.893 2.588 9.073
3.154 1.773 0.787
3.613 1.178 5.136
2.307 4.464 4.003
4.099 5.130 -0.493
5.891 4.661 8.301
1.792 9.026 10.154
0.000 -0.568 6.645
6.406 0.099 2.149
4.099 4.562 6.152
0.000 0.000 0.000
```

=====

VASP calculation (PBE+U) on K2CoReF after structural relaxation.

Calculated values
Electronic total energy in eV per atom: -3.379

Cell lengths 6.673, 6.673, 4.062 Å; angles 90.00, 90.00, 90.00 degrees
Space group P4/mmm (No. 123)
Symmetry-distinct sites (fractional):
K 0.000 0.500 0.000 [2 per cell]
Co 0.000 0.000 0.500 [1 per cell]
Re 0.500 0.500 0.000 [1 per cell]
F 0.500 0.500 0.500 [1 per cell]

(Activity)
Next, write out the block earlier on from the first line to the one with "2.893 2.588" character by character.

(Solution)
DFT (PBE) results for crystalline Tb2PmYEr6 at its relaxed geometry.

Calculated values
Size of the total moment (μB/f.u.): 0.001
Energy of formation (meV per atom): 118.3

Cell and atoms, written as POSCAR:
```
Tb2PmYEr6
1.0
-8.679 -0.952 3.837
1.794 -8.548 0.434
2.936 5.162 6.419
Tb Pm Y Er
4 2 2 12
Cartesian
-0.463 -3.700 6.577
0.732 -1.610 1.562
-3.487 -0.637 4.113
-4.681 -2.727 9.128
-0.349 -8.466 1.533
-3.600 4.128 9.157
0.300 -0.675 4.934
-4.249 -3.663 5.756
1.921 2.743 5.071
-0.819 1.941 7.431
-5.870 -7.081 5.619
-3.131 -6.279 3.259
0.266 -6.442 4.404
-0.502 -4.930 1.088
-4.215 2.104 6.285
-3.448 0.592 9.601
1.683 -3.625 3.933
-1.539 -3.189 3.549
-5.632 -0.713 6.756
-2.410 -1.149 7.141
```

---

DFT (PBE) results for crystalline Cs6Hg3Pt at its relaxed geometry.

Calculated values
Size of the total moment (μB/f.u.): 0.000
Energy of formation (meV per atom): -122.6

Cell and atoms, written as POSCAR:
```
Cs6Hg3Pt
1.0
8.198 0.000 0.000
0.000 10.260 -0.986
0.000 -1.136 13.290
Cs Hg Pt
12 6 2
Cartesian
7.712 3.384 1.016
7.253 2.789 5.365
6.992 0.838 10.369
1.206 8.286 1.935
0.945 6.336 6.938
0.486 5.740 11.287
4.585 7.946 7.168
5.044 7.351 11.517
5.305 6.536 3.231
2.893 2.588 9.073